Activity.
Reproduce the whole of the material further below with every line break kept, please.

Source.
(1)
! Na2VSiCO7, optimized geometry, DFT PBE with a Hubbard U; values from VASP
! Total energy in eV per cell: -336.0
&SYSTEM
  ibrav = 0, nat = 48, ntyp = 5
/
ATOMIC_SPECIES
Na 22.99 Na.upf
V 50.94 V.upf
Si 28.09 Si.upf
C 12.01 C.upf
O 16.00 O.upf
ATOMIC_POSITIONS angstrom
Na 2.0406 3.3082 1.2984
Na 2.2513 3.3081 6.6984
Na 2.0406 0.0009 1.2984
Na 2.2513 0.0010 6.6985
Na -1.6194 3.3101 9.5031
Na -1.8298 3.3100 4.1027
Na -1.6194 6.6173 9.5031
Na -1.8298 6.6174 4.1027
V -5.6337 4.9637 4.2165
V -2.9836 1.6546 6.4541
V 3.4048 4.9637 4.3460
V 6.0554 1.6546 6.5824
Si 4.0638 1.6546 4.0069
Si -4.9752 1.6546 3.8793
Si -3.6420 4.9637 6.7919
Si 5.3967 4.9637 6.9217
C 0.9075 4.9637 3.9391
C 1.1185 4.9637 9.3395
C -0.4872 1.6546 6.8622
C -0.6976 1.6546 1.4620
O 0.5359 1.6546 1.6949
O 0.7463 1.6546 7.0954
O -0.1156 4.9637 9.1069
O -0.3264 4.9637 3.7066
O 1.4447 4.9637 5.1359
O -7.5935 4.9637 5.0069
O -1.0239 1.6546 5.6650
O 8.0152 1.6546 5.7937
O 1.8264 4.9637 2.9849
O 2.0371 4.9637 8.3847
O -1.4066 1.6546 7.8161
O -1.6171 1.6546 2.4155
O -5.1092 4.9637 6.0086
O 3.9294 4.9637 6.1377
O 5.5315 1.6546 4.7911
O -3.5075 1.6546 4.6626
O -4.3867 1.6546 7.6529
O 4.6520 1.6546 7.7813
O 4.8078 4.9637 3.1479
O -4.2311 4.9637 3.0187
O 3.2263 0.3158 4.3811
O -5.8124 0.3158 4.2526
O 3.2263 2.9934 4.3811
O -5.8124 2.9934 4.2525
O -2.8041 3.6250 6.4188
O 6.2348 3.6250 6.5480
O -2.8041 6.3025 6.4188
O 6.2348 6.3024 6.5480
CELL_PARAMETERS angstrom
0.0000 6.6183 0.0000
-8.8281 0.0000 5.2715
9.2494 0.0000 5.5291


(2)
! NiCO4, optimized geometry, DFT PBE with a Hubbard U; values from VASP
! Symmetry: P2_1/c (14)
! Total energy in eV per cell: -150.7
&SYSTEM
  ibrav = 0, nat = 24, ntyp = 3
/
ATOMIC_SPECIES
Ni 58.69 Ni.upf
C 12.01 C.upf
O 16.00 O.upf
ATOMIC_POSITIONS angstrom
Ni 0.6892 1.8786 0.9511
Ni 0.5190 2.6336 5.5699
Ni 2.2907 6.3907 3.6677
Ni 2.1206 7.1457 8.2865
C 0.6060 5.6044 6.1787
C 0.7761 7.9320 1.5599
C 2.0337 1.0922 7.6777
C 2.2038 3.4199 3.0589
O 0.2609 0.4325 4.5188
O 0.0908 4.0796 9.1376
O 0.7355 0.1195 1.8759
O 0.5654 4.3927 6.4947
O 0.5560 6.5292 7.1127
O 0.7261 7.0072 2.4939
O 0.6962 6.0097 4.9315
O 0.8663 7.5267 0.3127
O 1.9435 1.4976 8.9249
O 2.1136 3.0146 4.3061
O 2.0837 2.0170 6.7437
O 2.2538 2.4951 2.1249
O 2.2444 4.6316 2.7429
O 2.0743 8.9048 7.3617
O 2.7190 4.9447 0.1000
O 2.5489 8.5917 4.7188
CELL_PARAMETERS angstrom
3.1500 0.0000 0.0000
0.0000 9.0243 0.0000
-0.3402 0.0000 9.2376


no.,spin magnetization (μB/f.u.)
1,1.0
2,1.0


Entry from Materials Project: a relaxed Ce3Pd4 crystal (PBE).

Properties
As for the formation energy from the elements: -0.7311 eV per atom. Its symmetry is No. 148.

Geometry as POSCAR:
```
Ce3Pd4
1.0
4.361 -6.778 0.000
4.361 6.778 0.000
-6.174 0.000 5.181
Ce Pd
6 8
Cartesian
2.408 -2.572 3.727
3.713 1.732 3.085
-0.285 0.840 5.052
0.141 2.572 1.454
-1.164 -1.732 2.096
2.833 -0.840 0.130
0.000 0.000 0.000
1.274 0.000 2.591
4.726 -1.111 2.318
1.258 3.342 4.023
-0.468 -2.231 4.872
-2.177 1.111 2.863
1.290 -3.342 1.158
3.017 2.231 0.309
```


Entry from Materials Project: a relaxed Ce3Pd5 crystal (PBE).

Properties
As for the formation energy from the elements: -0.7650 eV per atom. Its symmetry is No. 189.

Geometry as POSCAR:
```
Ce3Pd5
1.0
-0.108 4.793 -5.325
-5.917 -1.205 3.856
1.048 2.772 2.474
Ce Pd
3 5
Cartesian
0.455 4.475 -2.194
-3.289 0.610 3.722
-1.619 2.662 0.715
-0.025 1.107 -1.230
-1.367 -0.278 0.891
-4.633 2.759 -1.129
-3.981 0.794 0.796
-2.044 2.794 -2.264
```


Entry from Materials Project: a relaxed CePd crystal (PBE).

Properties
As for the formation energy from the elements: -0.6826 eV per atom. Its symmetry is No. 63.

Geometry as POSCAR:
```
CePd
1.0
1.915 -5.530 0.000
1.915 5.530 0.000
0.000 0.000 4.516
Ce Pd
2 2
Cartesian
1.915 -4.016 3.387
1.915 4.016 1.129
1.915 -0.990 3.387
1.915 0.990 1.129
```


Record 1
# Gd3SiBr3

A geometry-optimized Gd3SiBr3 structure (r2SCAN, the Materials Project database).

Cell: 10.139 10.139 10.092 Å, 109.36 109.36 109.58°

Worked solution.
(1)
! Na2VSiCO7, optimized geometry, DFT PBE with a Hubbard U; values from VASP
! Total energy in eV per cell: -336.0
&SYSTEM
  ibrav = 0, nat = 48, ntyp = 5
/
ATOMIC_SPECIES
Na 22.99 Na.upf
V 50.94 V.upf
Si 28.09 Si.upf
C 12.01 C.upf
O 16.00 O.upf
ATOMIC_POSITIONS angstrom
Na 2.0406 3.3082 1.2984
Na 2.2513 3.3081 6.6984
Na 2.0406 0.0009 1.2984
Na 2.2513 0.0010 6.6985
Na -1.6194 3.3101 9.5031
Na -1.8298 3.3100 4.1027
Na -1.6194 6.6173 9.5031
Na -1.8298 6.6174 4.1027
V -5.6337 4.9637 4.2165
V -2.9836 1.6546 6.4541
V 3.4048 4.9637 4.3460
V 6.0554 1.6546 6.5824
Si 4.0638 1.6546 4.0069
Si -4.9752 1.6546 3.8793
Si -3.6420 4.9637 6.7919
Si 5.3967 4.9637 6.9217
C 0.9075 4.9637 3.9391
C 1.1185 4.9637 9.3395
C -0.4872 1.6546 6.8622
C -0.6976 1.6546 1.4620
O 0.5359 1.6546 1.6949
O 0.7463 1.6546 7.0954
O -0.1156 4.9637 9.1069
O -0.3264 4.9637 3.7066
O 1.4447 4.9637 5.1359
O -7.5935 4.9637 5.0069
O -1.0239 1.6546 5.6650
O 8.0152 1.6546 5.7937
O 1.8264 4.9637 2.9849
O 2.0371 4.9637 8.3847
O -1.4066 1.6546 7.8161
O -1.6171 1.6546 2.4155
O -5.1092 4.9637 6.0086
O 3.9294 4.9637 6.1377
O 5.5315 1.6546 4.7911
O -3.5075 1.6546 4.6626
O -4.3867 1.6546 7.6529
O 4.6520 1.6546 7.7813
O 4.8078 4.9637 3.1479
O -4.2311 4.9637 3.0187
O 3.2263 0.3158 4.3811
O -5.8124 0.3158 4.2526
O 3.2263 2.9934 4.3811
O -5.8124 2.9934 4.2525
O -2.8041 3.6250 6.4188
O 6.2348 3.6250 6.5480
O -2.8041 6.3025 6.4188
O 6.2348 6.3024 6.5480
CELL_PARAMETERS angstrom
0.0000 6.6183 0.0000
-8.8281 0.0000 5.2715
9.2494 0.0000 5.5291


(2)
! NiCO4, optimized geometry, DFT PBE with a Hubbard U; values from VASP
! Symmetry: P2_1/c (14)
! Total energy in eV per cell: -150.7
&SYSTEM
  ibrav = 0, nat = 24, ntyp = 3
/
ATOMIC_SPECIES
Ni 58.69 Ni.upf
C 12.01 C.upf
O 16.00 O.upf
ATOMIC_POSITIONS angstrom
Ni 0.6892 1.8786 0.9511
Ni 0.5190 2.6336 5.5699
Ni 2.2907 6.3907 3.6677
Ni 2.1206 7.1457 8.2865
C 0.6060 5.6044 6.1787
C 0.7761 7.9320 1.5599
C 2.0337 1.0922 7.6777
C 2.2038 3.4199 3.0589
O 0.2609 0.4325 4.5188
O 0.0908 4.0796 9.1376
O 0.7355 0.1195 1.8759
O 0.5654 4.3927 6.4947
O 0.5560 6.5292 7.1127
O 0.7261 7.0072 2.4939
O 0.6962 6.0097 4.9315
O 0.8663 7.5267 0.3127
O 1.9435 1.4976 8.9249
O 2.1136 3.0146 4.3061
O 2.0837 2.0170 6.7437
O 2.2538 2.4951 2.1249
O 2.2444 4.6316 2.7429
O 2.0743 8.9048 7.3617
O 2.7190 4.9447 0.1000
O 2.5489 8.5917 4.7188
CELL_PARAMETERS angstrom
3.1500 0.0000 0.0000
0.0000 9.0243 0.0000
-0.3402 0.0000 9.2376


no.,spin magnetization (μB/f.u.)
1,1.0
2,1.0


Entry from Materials Project: a relaxed Ce3Pd4 crystal (PBE).

Properties
As for the formation energy from the elements: -0.7311 eV per atom. Its symmetry is No. 148.

Geometry as POSCAR:
```
Ce3Pd4
1.0
4.361 -6.778 0.000
4.361 6.778 0.000
-6.174 0.000 5.181
Ce Pd
6 8
Cartesian
2.408 -2.572 3.727
3.713 1.732 3.085
-0.285 0.840 5.052
0.141 2.572 1.454
-1.164 -1.732 2.096
2.833 -0.840 0.130
0.000 0.000 0.000
1.274 0.000 2.591
4.726 -1.111 2.318
1.258 3.342 4.023
-0.468 -2.231 4.872
-2.177 1.111 2.863
1.290 -3.342 1.158
3.017 2.231 0.309
```


Entry from Materials Project: a relaxed Ce3Pd5 crystal (PBE).

Properties
As for the formation energy from the elements: -0.7650 eV per atom. Its symmetry is No. 189.

Geometry as POSCAR:
```
Ce3Pd5
1.0
-0.108 4.793 -5.325
-5.917 -1.205 3.856
1.048 2.772 2.474
Ce Pd
3 5
Cartesian
0.455 4.475 -2.194
-3.289 0.610 3.722
-1.619 2.662 0.715
-0.025 1.107 -1.230
-1.367 -0.278 0.891
-4.633 2.759 -1.129
-3.981 0.794 0.796
-2.044 2.794 -2.264
```


Entry from Materials Project: a relaxed CePd crystal (PBE).

Properties
As for the formation energy from the elements: -0.6826 eV per atom. Its symmetry is No. 63.

Geometry as POSCAR:
```
CePd
1.0
1.915 -5.530 0.000
1.915 5.530 0.000
0.000 0.000 4.516
Ce Pd
2 2
Cartesian
1.915 -4.016 3.387
1.915 4.016 1.129
1.915 -0.990 3.387
1.915 0.990 1.129
```


Record 1
# Gd3SiBr3

A geometry-optimized Gd3SiBr3 structure (r2SCAN, the Materials Project database).

Cell: 10.139 10.139 10.092 Å, 109.36 109.36 109.58°